AC Circuits Questions and Answers

AC CircuitsIn a series LCR circuit when an alternating voltage of peak value 500 V angular frequency 100 rad s is applied the peak voltage drops across L C and R can be respectively 0 200 V 300 V 0 800 V 500 V 400 V 600 V 200 V 300 V 1200 V 1600 V 300 V

AC Circuits4 none of these 2 An applied voltage signal consists of a superposition of a d c voltage and an a c voltage of high frequency The circuit consists of an inductor and a capacitor in series then 1 d c signal will appear across L and C 2 d c signal will appear across C and a c signal across L 3 d c signal will appear across L and a c signal across C across L and C a c signal will appears 3 racht 4 3 faya fa 1 2 3 4 LACT C uchra L LA

AC Circuits1 and 2 14 Figure shows the variation of i with oo in a m 1 0 in A 0 5 0 0 FG 11 00 0 5 1 0 1 5 rad s 1 R L C circuit 3 R C circuit 2 0 2 R L circuit 4 None of these

• Here the entry breaks off for materials data:
~~~
A plane-wave DFT calculation with PBE-GGA was carried out for an optimized crystal structure of TlCdI2F.

The structure in CIF format:
```
data_TlCdI2F
_chemical_formula_sum 'Tl1 Cd1 I2 F1'
_space_group_name_H-M_alt 'P 4/m m m'
_space_group_IT_number 123
_space_group_name_Hall '-P 4 2'
_cell_length_a 6.046
_cell_length_b 6.046
_cell_length_c 4.402
_cell_angle_alpha 90.00
_cell_angle_beta 90.00
_cell_angle_gamma 90.00
loop_
_atom_site_label
_atom_site_fract_x
_atom_site_fract_y
_atom_site_fract_z
_atom_site_occupancy
Tl1 0.000 0.000 0.000 1
Cd1 0.500 0.500 0.500 1
I1 0.000 0.500 0.500 1
F1 0.500 0.500 0.000 1
```

Summary:
Its crystal system is tetragonal. The energy relative to the elements, uncorrected comes out at -492 kJ/mol of formula units. The value obtained for the total energy is -0.0981 Ha/atom.
~~~

AC CircuitsSame current is flowing in two alternating 2 circuits The first circuit contains only inductance and the other circuit contains only a capacitance If the frequency of the e m f of A C is increased the effect on the value of the current will be 1 increase in the first circuit and decrease in the other 2 increased in both circuits 3 decrease in both circuits 4 decrease in the first circuit and increase in the other Non resonant circuit what will be the nature of

AC CircuitsA circuit is made up of resistance 3 0 and inductance 0 01 H An alternating emf of 100 V at 50 Hz is connected then the phase difference between the current and the emf in the circuit is tan tan tan 76 3 TE 7 2

AC Circuits46 In a series resonant LCR circuit the voltage across R is 100V and R 1KQ2 with C 2 F The resonant frequency is 200 rad s At resonance the voltage across L is 1 2 5 x 10 V 2 40 V 3 250 V 4 4 x 10 V

AC CircuitsIn RLC circuit at a frequency v the potential difference across each device are AVR max 8 8V AVL max 2 6V and AVC max 7 4V The composed potential difference AVC AVL max across inductor and capacitor is ONO No 10 0 V 7 8 V 7 4V

AC Circuits7 An alternating voltage V Vo sin oot is applied across a circuit As a result a current i io si cot flows in it The power consumed pe cycle is 1 zero 3 0 707 Voio 2 0 5 Voio 4 1 414 Voio

AC CircuitsFigure shows LCR series ac circuit If L is removed from the circuit current leads voltage by 45 while if C removed current lags the voltage by 45 Current passing in the original circuit is R L wwwww HH Options 0 2 A O 1 5 A O 1 A O 0 5 A 1000 100V 200 Hz

AC CircuitsAn electric lamp designed for operation on 10V AC is connected to a 220V AC supply through a choke coil of inductance 2H for proper operation The angular frequency of the AC is 100 10rad s If a capacitor is to be used in place of the choke coil its cpacitance must be ONO 1 F

AC CircuitsmA c 200 mA b 100 mA d 20 mA C B S E P M T 2011 A12 An AC voltage is applied to a resistance R and an inductor L in series IfR and the inductive reactance are both equal to 32 the phase difference between 102 the applied voltage and the current in the circuit

AC Circuits20 If a semiconductor has an intrinsic carrier concentration of 1 41 x 10 6 m3 when doped with 1021 m3 phosphorus then the concentration of holes at room temperature will be 1 2 10 1 3 1 41 10 0 2 2 10 1 4 1 41 10 6

AC Circuits7 An alternating voltage in volts given by V 200 2 sin 100t is connected to 1 F capacitor through an ideal a c ammeter in series The reading of the ammeter and the average power consumed in the circuit shall be

AC CircuitsIn the circuit shown in figure neglecting source resistance the voltmeter and ammeter reading will respectively be V X 10 22 ooowooo 1 OV 3A 2 150V 3A 3 150V 6A wwww X 10 2 400 320V A

AC CircuitsA is false and R is also false 7 Assertion A The voltage sensitivity may not necessarily increase on increasing the current sensitivity Reason R Current sensitivity increases on increasing the number of turns of the coil 1 Point 0 0 Both A and R are true and R is the correct explanation of A Both A and R are true but R is not the correct explanation of A A is true but R is false A is false and R is also false

AC CircuitsA bulb and an inductor are connected in series to an ac source through a switch The bulb glows with certain brightness when the switch is closed If a soft ferromagnetic material with large permeability is introduced into the inductor coil the brightness of the bulb will A decrease B increase C remain the same bogomor

AC CircuitsAn LCR series circuit connected across a source of alternating emf E is in resonance Then the voltage across 1 R is zero 2 R equals to applied voltage zero 3 C is zero 4 Lequals to applied voltage

AC Circuits10 If one of the i p of studied comparator is connected to 1Vdc other i p voltage is varied around this 1Vdc continuously Then the o p waveform of comparator is 2 Points sine wave Traingle wave Square wave can not predict

AC CircuitsCross a 230 V supply terminals in a house an electric iron having a resistance of 500 and incandescent lamp of resistances 450 d 800 respectively are connected For this operation exhibit the total current involved and also find the power taken from the pply mains

AC Circuits12 In a transformer primary voltage is 220V and secondary current is 0 11A with output power 60W 1 Transformer is step up 3 Transformer is auxiliary Ans 1 Sol P V x Is 60 V X 0 11 V 60 6000 0 11 11 220V V V Vp 220 volt so it is sten un transformer P S 0 11A 60 watt 2 Transformer is step down 4 None of these

AC CircuitsUnleashing Potential In the circuit shown in figure input source is periodic and its wave form is 18 Find the reading of cathode ray oscilloscope CRO is R www Sol 1 3 Ans 4 t 1 1 t t3 2 t4 CRO t Relide INSTITUTE 8

AC CircuitsR At resonance the applied voltage is Q times voltage drop across inductance for capacitance A If a current has both ac and dc components then a dc ammeter used to measure this current will measure the average value of the total current R The scale of dc ammeter is not uniformly divided over a long distance at F 5

AC Circuits162 A series LCR circuit is connected to an ac voltage source When L is removed from the circuit the phase difference between current and voltage TT If instead C is removed from the circuit 3 is the phase difference is again between current 3 and voltage The power factor of the circuit is 1 zero 2 0 5 31 0 Vik

AC Circuits3 A sinusoidal ac current passes through a resitor o resistance R in LCR series circuit If phase difference between supplied voltange and supplied current is and peak value of supplied current is I then power dissipated in the ckt is 1 IR cose 3 IR 2 4 IR 2 IR cos 0

AC CircuitsPARAGRAPH FOR QUESTIONS 62 64 A box contains a combination of L C and R When 250 V DC is applied to the terminals of the box a current of 1A flows in the circuit When an AC source of 250 V at 2250 rad s 1 is connected a current of 1 25 A flows in the circuit When frequency of AC is increased it is observed that current increases with frequency and becomes maximum at 4500 rad s

AC CircuitsIn the circuit shown the power factor of the circuit is Power factor of only RC circuit is Source RMS voltage is 100 volt and its angular frequency w 100 4 5 rad sec RMS current in circuit is 5A If inductive reactance is greater then capacitive reactance then the value of self inductance Lis C H1 L wwww V 100 volt 100 rad sec R wwwwww

AC Circuits46 Mass of proton 1 67 MG0275 A circular coil placed in a uniform magnetic field If alternating current flows through this coil then 1 net force will act on coil 2 coil will be stationary 3 coil will be rotated 4 coil will move on straight line MG0276 50 2 3 4 A

AC CircuitsThe network shown in figure is a part of the circuit At a certain instant the current is 1 2 A and it is increasing at the rate of 10 A s The potential difference between he points A and B VA Ve is n volts Find n R 20 E 12V L 5mH B WWW 80000 A 2A 26 31 36

AC CircuitsA circuit consists of a resistor of 50 a capacitor of 1 F and an ideal self inductor of 0 01H All three are in series with a power supply that generates an EMF of 10 sin cot volt The internal resistance of the power supply is negligibly small The system is at resonance We decreases the frequency of the power supply such that the reactance becomes 592 What will be average power generated by the power supply 1 10 W 2 5 W 3 15 W 4 Zero AVRE

AC CircuitsA current flowing through the inductor of inductance L has a shape indicated in Fig The highest value of current is lo What will be the maximum voltage drop across the inductor O O zero 2T Llo 2T lo 0

AC Circuitsa series ac circuit the instantaneous voltage e t and current i t are given b 5 cos wt 3 sin wt 5 sin wt 7 amp Then circuit is in resonance circuit is Inductive circuit is capacitive Information insufficient

AC CircuitsFor a series LCR circuit given below resonance frequency Then R 12 2 2 and operating angular frequency is half of is the L 6 000 the resonance frequency i e 00 2 R L mm 11 C vo o 1 Power factor of the circuit is 2 Power factor of the circuit is 4 5535 3 Current lags voltage by phase of 53 T 180 37 T

AC CircuitsThe value of a a and 3 are current gain in CB CE configuration Question Type Single Correct Type 2 a B G 3 1 is equal to None of these

(Crystal structures that have nothing to do with the page)
........
A relaxed structure of YSc3Cd2, computed with PBE.

Cell: 4.9724 8.9261 6.6204 Å, 90.00 90.00 90.00°
Closest atoms and distances in Å follow each position.
Positions (direct):
Y (0.0000, 0.0418, 0.0000)  5 Cd 3.13-3.44, 6 Sc 3.39-3.49, 2 Y 3.39
Y (0.0000, 0.9582, 0.5000)  5 Cd 3.13-3.44, 6 Sc 3.39-3.49, 2 Y 3.39
Sc (0.0000, 0.3284, 0.6636)  4 Cd 2.86-2.99
Sc (0.0000, 0.6716, 0.1636)  4 Cd 2.86-2.99
Sc (0.5000, 0.1887, 0.3000)  4 Cd 2.94-3.07, 1 Sc 3.29
Sc (0.5000, 0.4579, 0.9612)  5 Cd 3.07-3.41, 8 Sc 3.29-3.41
Sc (0.5000, 0.5421, 0.4612)  5 Cd 3.07-3.41, 8 Sc 3.29-3.41
Sc (0.5000, 0.8113, 0.8000)  4 Cd 2.94-3.07, 1 Sc 3.29
Cd (0.0000, 0.3539, 0.2154)  6 Sc 2.86-3.14, 1 Y 3.13
Cd (0.0000, 0.6461, 0.7154)  6 Sc 2.86-3.14, 1 Y 3.13
Cd (0.5000, 0.1531, 0.7461)  5 Sc 2.97-3.07, 2 Y 3.16
Cd (0.5000, 0.8469, 0.2461)  5 Sc 2.97-3.07, 2 Y 3.16

- space group = No. 26
- total DFT energy (no corrections) (eV/cell) = -56.89

~~~~~

(1)
Compound: NaRh3S
Source: the Alexandria database
Functional: PBE
Structure: optimized geometry

```
NaRh3S
1.0
4.587 0.000 0.000
0.000 4.587 0.000
0.000 0.000 4.587
Na Rh S
1 3 1
Cartesian
0.000 0.000 0.000
0.000 0.000 2.293
0.000 2.293 0.000
2.293 0.000 0.000
2.293 2.293 2.293
```

Results
energy above the most stable polymorph in this dataset	1872	meV/atom
formation energy without anion corrections	1.886	eV per atom
total DFT energy (no corrections)	-0.1328	Ha/atom

(2)
Compound: NaRhS2
Source: the Alexandria database
Functional: PBE
Structure: optimized geometry

```
NaRhS2
1.0
1.818 1.049 6.398
-1.818 1.049 6.398
0.000 -2.099 6.398
Na Rh S
1 1 2
Cartesian
0.000 0.000 0.000
0.000 0.000 3.225
0.000 0.000 10.810
0.000 0.000 14.832
```

Results
formation energy without anion corrections	-0.733	eV per atom
total DFT energy (no corrections)	-0.1824	Ha/atom

~~~~~

NaSr3PtO6 PBE relaxed; uncorrected energy = -0.2142 Ha/atom; symmetry = R-3c, No. 167; volume = 309.7 Å³ per cell
1.0
4.812 2.778 3.861
-4.812 2.778 3.861
0.000 -5.556 3.861
Pt O Sr Na
2 12 6 2
direct
0.500 0.500 0.500
0.000 0.000 0.000
0.922 0.716 0.056
0.422 0.556 0.216
0.216 0.422 0.556
0.784 0.578 0.444
0.716 0.056 0.922
0.556 0.216 0.422
0.444 0.784 0.578
0.056 0.922 0.716
0.284 0.944 0.078
0.578 0.444 0.784
0.078 0.284 0.944
0.944 0.078 0.284
0.891 0.250 0.609
0.391 0.109 0.750
0.609 0.891 0.250
0.109 0.750 0.391
0.750 0.391 0.109
0.250 0.609 0.891
0.250 0.250 0.250
0.750 0.750 0.750



Rb3Na2ReO6 PBE relaxed; excess energy over the best structure of this formula in the dataset = 0 meV/atom; symmetry = C2/m, No. 12; volume = 205.2 Å³ per cell
1.0
2.873 5.084 2.992
-5.881 0.678 -2.830
-1.714 -2.831 4.719
O Rb Re Na
6 3 1 2
direct
0.048 0.286 0.203
0.714 0.952 0.797
0.192 0.192 0.800
0.808 0.808 0.200
0.286 0.048 0.203
0.952 0.714 0.797
0.500 0.500 0.500
0.328 0.672 0.000
0.672 0.328 0.000
0.000 0.000 0.000
0.874 0.126 0.500
0.126 0.874 0.500



Rb4NaReO6 PBE relaxed; uncorrected energy = -0.2028 Ha/atom; symmetry = C2/m, No. 12; volume = 208.2 Å³ per cell
1.0
........

AC CircuitsAn inductor is to be connected to the terminals of a generator rms voltage 11 0 V such that the resulting rms current is to be 0 710 A Determine the required inductive reactance Number Irms L 0000 Vrms

AC Circuits3 Choose the correct equation of current in the List Il as a function of t through the circuit elem ab of the circuits in the List 1 List 1 List II P O R S 10V A B 30V 1 10V Codes 30V P 3 3 202 www 202 20 202 www 202 www 2Q www www a Q 100 F b 292 www a breeeeee a b 20 www 0 4 mH eeeeee b 200 3 F a 0 6 mH b 0133 R411 S214 1 2 3 4 i 5A 1 e i 5A 1 e i 5A e 2 10 sec i 5A e 4 10 sec 1 2 10 sec 4 10 sec

AC CircuitsNetwork shown in the diagram is part of an electrical circuit The current is 2 A and is decreasing of 2 Als then V V equals 1 2 V XVM M P 2 V 19 www 2 A 1 H 0000000 2 2 V 4 4 V

AC Circuits39 With an ac input from 50 Hz power line the ripple frequency is a 50 Hz in the dc output of half wave as well as full wave rectifier b 100 Hz in the dc output of half wave as well as full wave rectifier c 50 Hz in the dc output of half wave and 100 Hz in dc output of full wave rectifier d 100 Hz in the dc output of half wave and 50 Hz in the dc output of full wave rectifier In a full wave iunction diode rectifior th d input 14 8 Spe op Dio 44 What h diode a Th C b T

AC Circuits3 45 Initially the switch is in position 1 for a long time in the circuit shown in figure 3 397 At t 0 the switch is moved from 1 to 2 Obtain expressions for Vand VR for t 0 S THI 24 50V Figure 3 397 Ans V 50 3e 200 1 VR 150e 200r 5kn 1 F

AC CircuitsThe circuit consists of a capacitor connected in parallel to a resistor R with a coil of inductance L in series with them The power source could be an AC or a constant voltage DC source When AC source is applied then XL Xc R L vooroo C R If a constant DC source of voltage Eo is applied across the input terminal with a switch then Question Type Multiple Correct Type 1 Just after the switch is closed the initial current through the voltage source will be zero 2 Just after the switch is closed the initial current through the voltage source So will be R 3 The current through the voltage source long time after the switch is closed will be zero

AC CircuitsThe power dissipated in the following circuit will be about half of its maximum value at approximately 1H 100 Q 50 sinof 1 w 1050 rad s 2 w 1000 rad s 3 W 950 rad s 4 Both 1 3

AC Circuits20 A resistance of 4 92 and a wire of length 5 and resistance 52 are joined in series and connected to a cell of e m f 10 V and internal resistance 1 2 A Parallel combination of two identical cells is balanced across 300 cm length of the wire The e m f E of each cell is 1 1 5 V 452 ww 3 m E Fo Jor 10 V 1 Q 50 5 m 2 3 0 V

**Inserted here: materials data**
- - -
(1)
Entry from Alexandria via LeMat-Bulk: a relaxed ThNp2 crystal (PBE-GGA).

Values from the calculation:
The value obtained for the formation energy is 278 meV/atom. As for the calculated density: 17551 kg/m³. Its uncorrected energy is -10.82 eV/atom. The spin magnetization comes out at 1.46 μB/atom.

abc: 5.7382 5.7382 5.7382
angles: 60.00 60.00 60.00
Each line ends with the local moment (μB).
Fractional positions:
Np1 0.1250 0.6250 0.6250  2.19
Np2 0.6250 0.6250 0.6250  2.19
Np3 0.6250 0.6250 0.1250  2.19
Np4 0.6250 0.1250 0.6250  2.19
Th1 0.0000 0.0000 0.0000  -0.03
Th2 0.2500 0.2500 0.2500  -0.03

(2)
Entry from Alexandria via LeMat-Bulk: a relaxed Ba3Na4Pb4 crystal (PBE-GGA).

Values from the calculation:
The value obtained for the formation energy is -310 meV/atom. As for the calculated density: 5478 kg/m³. Its uncorrected energy is -2.66 eV/atom. The spin magnetization comes out at 0.00 μB/atom.

abc: 5.3639 8.3904 10.2643
angles: 114.12 105.15 90.00
Fractional positions:
Pb1 0.2101 0.7101 0.4202
Pb2 0.5000 0.8209 0.0000
Pb3 0.5000 0.1791 0.0000
Pb4 0.7899 0.2899 0.5798
Na1 0.3280 0.5252 0.6560
Na2 0.6720 0.8692 0.3440
Na3 0.6720 0.4748 0.3440
Na4 0.3280 0.1308 0.6560
Ba1 0.0000 0.5000 0.0000
Ba2 0.1281 0.1281 0.2561
Ba3 0.8719 0.8719 0.7439

(3)
Entry from Alexandria via LeMat-Bulk: a relaxed Ba2YRh crystal (PBE-GGA).

Values from the calculation:
The value obtained for the formation energy is -158 meV/atom. As for the calculated density: 5005 kg/m³. Its uncorrected energy is -4.57 eV/atom. The spin magnetization comes out at 0.00 μB/atom.

abc: 9.9097 9.9097 4.4292
angles: 77.10 77.10 21.43
Fractional positions:
Ba1 0.0971 0.0971 0.9030
Ba2 0.4029 0.4029 0.5970
Rh1 0.7500 0.7500 0.7500
Y1 0.2500 0.2500 0.2500

(4)
Entry from Alexandria via LeMat-Bulk: a relaxed Cu5Tc3 crystal (PBE-GGA).

Values from the calculation:
The value obtained for the formation energy is 466 meV/atom. As for the calculated density: 9266 kg/m³. Its uncorrected energy is -5.98 eV/atom. The spin magnetization comes out at 0.00 μB/atom.

abc: 7.4926 7.4925 4.5105
angles: 90.00 90.00 59.98
Fractional positions:
Cu1 0.0000 0.7996 0.2500
Cu2 0.2003 0.7997 0.7500
Cu3 0.0000 0.2004 0.7500
Cu4 0.6666 0.6666 0.5000
Cu5 0.3334 0.3334 0.5000
Cu6 0.3334 0.3334 0.0000
Cu7 0.7997 0.2003 0.2500
Cu8 0.6666 0.6666 0.0000
Cu9 0.7997 0.0000 0.7500
Cu10 0.2004 0.0000 0.2500
Tc1 0.5845 0.4155 0.7500
Tc2 0.4154 0.0001 0.7500
Tc3 0.4155 0.5845 0.2500
Tc4 0.9999 0.5846 0.7500
Tc5 0.0001 0.4154 0.2500
Tc6 0.5846 0.9999 0.2500

(5)
Entry from Alexandria via LeMat-Bulk: a relaxed Mg4CrRh5 crystal (PBE-GGA).

Values from the calculation:
The value obtained for the formation energy is -393 meV/atom. As for the calculated density: 7438 kg/m³. Its uncorrected energy is -5.67 eV/atom. The spin magnetization comes out at 0.21 μB/atom.

abc: 3.0847 3.0847 15.5732
angles: 90.00 90.00 90.00
Each line ends with the local moment (μB).
Fractional positions:
Rh1 0.5000 0.5000 0.0919  -0.01
- - -

AC Circuits2 The number of turns in the primary and 41 secondary coils of a transformer are 5 and 10 respectively The mutual inductance is 25 H If the number of turns in the primary and secondary coils are changed to 10 and 5 respectively then the mutual inductance in henry will be 1 6 25 3 25 2 12 5 4 50 Bol Stara 25 ta af f aparat 1 6 25 3 25 af afde and ges 2 12 5 4 50

AC CircuitsSolveLancer Test A student has a coil with resistance 20 and inductance 80 mH which is connected with a 10 V battery He obtains a steady state value of the current The time to acquire half of its steady state value is SolveLancer Test a b c d a b C 2 8 ms 3 5 ms 1 4 ms 5 6 ms

AC CircuitsA perfect capacito nected in parallel to a variable frequency sinusoi dal alternating voltage supply At resonance the impedance of the circuit is 1 Lw 3 zero 2 4 1 Co infinite wz

AC Circuitsying straight i A rod of erpendicular city v then field variable with time as B Bot induced in the ring if the magnetic field is perpendicular to plane of loop is 1 mor 2 nar 3 2 4 n r The value of self inductance of a small circular col of radius r and number of turns n is 1 n r 2 Hon 2 4 Hon rr 4 wo colls A and Bha respectively are placed ne a current of 3A in A 104 Wb and with mutual inductance is 1 4 x 105 H 3 2 10 5 H 19 The primary ar have 60 and magnetic flus Hon r 3 14 n the circuit shown in the following figure E 10V R 292 R 392 R 692 and L 5H The current i just after pressing the switch S is wwwwwww R YR by do voltage ac Po are in 1 120 22 20 A tra lam A

AC Circuits31 The reactance of a capacitor is 2 ohm and that of an inductor is 3 ohm 1 poin If they are connected in series with a resistor of 1 732 ohm the angle of phase with which voltage ma lead the current is OA 0 degree B 30 degree OC 45 degree O D 90 degree

AC Circuits14012 In the circuit shown the variable resistance is so 32 adjusted that the ammeter reading is same in both the position 1 and 2 of the key The reading of ammeter is 2A If E 10V then x is His E Ideal 1 20 2 502 3 100 R TEST SERIES JOINT PACKAGE COURSE 4 200 3 1180 vakia fa ukanda 2A1E 10V Hw 1 20 Ideal 2 50 4 140 0 E 12fefani X 3 1002 4 2002 09990MD31032000

AC Circuits2 A series circuit of R 14 4 Ohm L 0 127H draws a current of 4 6 amp when connected to an alternating voltage source of 230V Find frequency of supply in Hz calculate active power reactive power and apparent power

AC Circuitsa 1 5x103 V A 20 Henry inductor coil is connected to a 10 ohm resistance in series as shown in figure The time at which rate of dissipation of energy joule s heat across resistance equal to the rate at which magnetic energy is stored in the JEE Main 2019 inductor is E 2 In 2 c 2 In 2 a i 10 Q2 ww moooooo 20 H b In 2 d In 2 and IN 201 cross section arma A C

AC Circuits13 180 An AC circuit having supply voltage V consists of resistor of resistance 4 Q and capacitor of reactance 3 Q as shown in the figure The voltage across the capacitor at time t B Xc R www V 20 sin of 9 6 V 12 4 V Zero sis